
The Ancient Shield Warrior

Attention: It is preferable to read from your phone in portrait mode. Remember to change your favorite background for better visualization. ~Author. ----------------------------------------                         System *Forced ----------------------------------------           Level: 10=24           +HP: ====       anaM: *Broken   *Broken: *Broken         *Broken: ===== ====             Null---                                 >>Permation Inforsonal ---------------------------------------- *Examining the flawed system. The system horribly crashed. System: "*Bzzzzzzzzzzzt." *Lost signal. *I lifting Myra's body. positioned in front of a vast sea while perched on the cliff's edge. observing the enormous strange beast with its five heads and lengthy neck. "We tried everything..." *All of the warriors have died. afloat on the ocean. on the water. near the cliff. Anywhere. a collapsed building. Street. ... "Myra..." ... *Eerhrhrhh... *HÀÀÀÀÀÀÀÀÀÀÀÀÀÀÀÀÀÀÀÀÀÀÀÀÀÀÀÀÀÀÀÀ!!!!!! *Beast roaring in the fog. ... ... *Place Myra's body on the ground gradually. ... *Eerhrhrhh... *HÀÀÀÀÀÀÀÀÀÀÀÀÀÀÀÀÀÀÀÀÀÀÀÀÀÀÀÀÀÀÀÀ!!!!!! ... ... ... *Picking up a sword. raising it. grabbing a big shield that was on the ground and crushed. raising it. "I'm sorry..." *Eerhrhrhh... "I broke my promise." *HÀÀÀÀÀÀÀÀÀÀÀÀÀÀÀÀÀÀÀÀÀÀÀÀÀÀÀÀÀÀÀÀ!!!!!!

Nine_Whale · Ciudad
Sin suficientes valoraciones
53 Chs

Day 2 of the academy - 2

In a little while, she was going to pick up her automobile from the apartment's garage area. She then opens the side windows on the side of the vehicle where she is sitting and waves at us rather than honking as she passes in front of us. Her vehicle was a gray liftback model from the Utopia brand. Although the car accelerates very quickly, she keeps going at the same speed.

Aria: "Bye-Byee..." *as she returned her wave.

Ayla: "Ple-Please be careful!" *She tries to guide the voice toward the direction of the automobile as it drives away while raising both of her hands to her mouth.

Hooo... She seems really good at driving. Or is it just the car...

Wait. I forgot to check her status. Well, I probably can see her again later.

Inserted here: crystal structures:
~~~
{"formula": "PaBi3", "functional": "PBE", "state": "relaxed", "cell": [[6.0642, -1.9771, -0.2967], [2.6482, -2.4274, 5.2789], [-5.3742, -0.7902, -3.3564]], "species": ["Pa", "Bi", "Bi", "Bi"], "frac_coords": [[0.0000, 0.0000, 0.0000], [0.7500, 0.2500, 0.5000], [0.2500, 0.7500, 0.5000], [0.5000, 0.5000, 0.0000]], "e_form_ev_per_atom": -0.11, "de_polymorph_kj_per_mol_fu": 0}


{"formula": "Nb6BiSe8", "functional": "PBE", "state": "relaxed", "cell": [[-6.4595, 2.8767, 7.3030], [-3.2968, -1.1174, -9.5508], [-0.7485, -3.3238, 0.6473]], "species": ["Se", "Se", "Se", "Se", "Se", "Se", "Se", "Se", "Nb", "Nb", "Nb", "Nb", "Nb", "Nb", "Bi"], "frac_coords": [[0.2786, 0.3374, 0.7499], [0.0588, 0.7214, 0.7499], [0.3333, 0.6667, 0.2499], [0.7214, 0.6626, 0.2501], [0.3374, 0.0588, 0.2501], [0.9412, 0.2786, 0.2501], [0.6626, 0.9412, 0.7499], [0.6667, 0.3333, 0.7501], [0.4876, 0.3796, 0.2508], [0.8920, 0.5124, 0.2508], [0.6204, 0.1080, 0.2508], [0.3796, 0.8920, 0.7492], [0.1080, 0.4876, 0.7492], [0.5124, 0.6204, 0.7492], [0.0000, 0.0000, 0.5000]], "energy_mp2020_ev_per_atom": -7.133, "e_form_ev_per_atom": -0.97, "magmom_total_mub_per_fu": 0.01}

=====

Record 1
The following is a PBE-GGA calculation of an optimized crystal structure of Ba12FeSi3S20, from the Materials Project.

space-group type: Pm, No. 6

Cell lengths 9.569, 8.639, 12.125 Å; angles 89.40, 90.00, 90.00 degrees
Fractional positions:
Ba: 0.730 0.422 0.319
Ba: 0.000 0.393 0.018
Ba: 0.270 0.422 0.319
Ba: 0.229 0.916 0.184
Ba: 0.231 0.586 0.678
Ba: 0.727 0.080 0.820
Ba: 0.273 0.080 0.820
Ba: 0.000 0.100 0.515
Ba: 0.769 0.586 0.678
Ba: 0.771 0.916 0.184
Ba: 0.500 0.610 0.981
Ba: 0.500 0.896 0.484
Fe: 0.000 0.687 0.401
S: 0.000 0.177 0.266
S: 0.686 0.190 0.561
S: 0.500 0.984 0.008
S: 0.685 0.312 0.059
S: 0.815 0.690 0.939
S: 0.185 0.690 0.939
S: 0.500 0.518 0.506
S: 0.315 0.312 0.059
S: 0.806 0.808 0.442
S: 0.000 0.018 0.993
S: 0.500 0.144 0.273
S: 0.314 0.190 0.561
S: 0.500 0.824 0.736
S: 0.500 0.357 0.774
S: 0.000 0.328 0.761
S: 0.000 0.476 0.499
S: 0.000 0.859 0.726
S: 0.000 0.632 0.223
S: 0.500 0.676 0.233
S: 0.194 0.808 0.442
Si: 0.500 0.311 0.600
Si: 0.000 0.812 0.900
Si: 0.500 0.190 0.100

Record 2
The following is a PBE-GGA calculation of an optimized crystal structure of BaCa2WN4, from the Materials Project.

space-group type: Pbca, No. 61

Cell lengths 9.453, 10.299, 11.729 Å; angles 90.00, 90.00, 90.00 degrees
Fractional positions:
Ca: 0.122 0.041 0.364
Ca: 0.966 0.378 0.396
Ca: 0.534 0.878 0.604
Ca: 0.878 0.959 0.636
Ca: 0.466 0.622 0.104
Ca: 0.534 0.378 0.896
Ca: 0.622 0.959 0.136
Ca: 0.878 0.459 0.864
Ca: 0.966 0.878 0.104
Ca: 0.034 0.122 0.896
Ca: 0.466 0.122 0.396
Ca: 0.378 0.541 0.636
Ca: 0.034 0.622 0.604
Ca: 0.378 0.041 0.864
Ca: 0.622 0.459 0.364
Ca: 0.122 0.541 0.136
Ba: 0.320 0.238 0.119
Ba: 0.320 0.738 0.381
Ba: 0.820 0.262 0.119
Ba: 0.180 0.738 0.881
Ba: 0.180 0.238 0.619
Ba: 0.680 0.262 0.619
Ba: 0.680 0.762 0.881
Ba: 0.820 0.762 0.381
N: 0.438 0.842 0.013
N: 0.692 0.236 0.328
~~~

System: "Am I missing something?"

Ah... Is there a problem with the signal again?

System: "Ummm... Nooo... I just woke up."

Heh? So God also needs a rest huh...

System: "Of-Of course we still need it..."

Myra: "Alright... We also need to get going." *She passes us as she walks and descends the stairs.

Ayla: "U-Ummm..." *She nodded. and then follow her.

Aria: "Can I drive your car right now?" *She extends her right hand in the air. palm pointing forward. while lagging in her wake.

Myra: "No... And you should bring your car and go back to your house later."

Aria: "Eeeeh... Whyyy?" *She put her hand down.

Ayla: "Ano... Is it will be a better idea if we go to the center point again?"

Aria: "Ah! That's right!"

~~~
[1]
! PBE-GGA AlZnH16NO6F6, optimized geometry; values from VASP
&SYSTEM
  ibrav = 0, nat = 124, ntyp = 6
/
ATOMIC_SPECIES
Al 26.98 Al.upf
Zn 65.41 Zn.upf
H 1.01 H.upf
N 14.01 N.upf
O 16.00 O.upf
F 19.00 F.upf
ATOMIC_POSITIONS angstrom
Al 0.000 0.000 0.000
Al -0.612 3.301 6.427
Al 6.367 0.000 0.000
Al 5.756 3.301 6.427
Zn 2.092 0.183 8.921
Zn 2.704 3.118 2.495
Zn 8.808 3.483 10.359
Zn 9.419 6.419 3.932
H -0.426 0.685 8.089
H 0.185 2.615 1.662
H 0.337 4.195 1.535
H -0.275 5.706 7.962
H 1.256 1.428 3.959
H 0.644 1.873 10.386
H 1.604 0.633 2.601
H 0.993 2.668 9.028
H 1.534 4.163 4.684
H 0.922 5.739 11.111
H 1.567 1.282 6.500
H 2.179 2.018 0.073
H 2.200 4.399 7.863
H 2.812 5.503 1.436
H 2.973 3.582 5.107
H 2.361 6.320 11.534
H 3.637 1.553 0.424
H 3.025 1.748 6.850
H 3.586 0.158 4.033
H 2.974 3.142 10.460
H 3.491 0.008 5.686
H 2.880 3.292 12.113
H 3.737 4.925 7.829
H 4.349 4.976 1.402
H 3.873 4.358 11.230
H 4.485 5.544 4.803
H 4.918 0.578 5.013
H 4.306 2.723 11.440
H 4.617 1.446 8.869
H 5.229 1.854 2.442
H 4.524 0.342 10.049
H 5.136 2.958 3.623
H 6.376 3.643 9.231
H 6.987 6.259 2.804
H 6.282 4.747 10.412
H 6.894 5.155 3.985
H 7.205 3.878 1.414
H 6.593 6.023 7.840
H 7.026 1.057 8.050
H 7.638 2.243 1.623
H 7.162 1.625 11.452
H 7.774 1.676 5.025
H 8.632 3.309 0.740
H 8.020 6.593 7.167
H 8.537 3.459 2.394
H 7.925 6.443 8.820
H 8.486 4.853 6.003
H 7.874 5.048 12.430
H 9.150 0.281 1.319
H 8.539 3.019 7.746
H 8.699 1.098 11.417
H 9.311 2.202 4.990
H 9.332 4.583 12.780
H 9.944 5.319 6.353
H 10.589 0.862 1.743
H 9.977 2.438 8.170
H 10.518 3.933 3.825
H 9.907 5.968 10.252
H 10.867 4.728 2.468
H 10.255 5.173 8.895
H 11.786 0.895 4.891
H 11.174 2.406 11.318
H 11.326 3.986 11.191
H 11.937 5.916 4.764
N 3.520 3.391 11.300
N 4.132 6.510 4.874
N 7.379 0.091 7.980
N 7.991 3.210 1.553
O 0.692 3.400 2.000
O 0.081 6.501 8.427
O 1.977 1.206 3.324
O 1.365 2.095 9.751
O 2.471 4.019 4.373
O 1.859 5.882 10.800
O 2.406 0.971 6.941
O 3.018 2.330 0.514
O 2.884 4.939 8.335
O 3.496 4.962 1.908
O 4.003 0.911 9.427
O 4.615 2.390 3.000
O 6.896 4.211 9.853
O 7.508 5.690 3.427
O 8.016 1.639 10.945
O 8.627 1.662 4.518
O 8.494 4.271 12.339
O 9.105 5.630 5.912
O 9.652 0.719 2.054
O 9.041 2.582 8.481
O 10.146 4.506 3.103
O 9.534 5.396 9.529
O 11.431 0.100 4.426
O 10.819 3.201 10.853
F 0.059 4.563 5.286
F -0.552 5.339 11.712
F -0.272 1.339 11.981
F 0.340 1.962 5.554
F 0.793 3.558 7.584
F 1.405 6.344 1.157
F 3.367 0.385 12.680
F 3.979 2.915 6.254
F 5.319 4.919 7.167
F 5.931 4.982 0.740
F 5.747 4.081 4.735
F 5.136 5.821 11.162
F 6.376 0.780 1.691
F 5.764 2.521 8.118
F 5.581 1.619 12.113
F 6.192 1.682 5.687
F 7.533 3.686 6.600
F 8.144 6.216 0.173
F 10.107 0.258 11.696
F 10.718 3.043 5.269
F 11.171 4.639 7.299
F 11.783 5.262 0.872
F 12.063 1.262 1.141
F 11.452 2.038 7.568
CELL_PARAMETERS angstrom
12.735 0.000 0.000
0.000 6.601 0.000
-1.223 0.000 12.853
! Energy relative to the elements, eV per atom: -1.69
! Total energy after the MP2020 corrections, eV/atom: -5.20
~~~

Myra: "Hmmm... What about it, Yugo?"

as the girl is speaking. I lock my door and follow Myra, Ayla, and Aria while walking next to them. We were making our way to the garage that was located behind the apartment. Then, out of nowhere, Myra spoke to me while looking in my direction.

Yugo: "Eh? Ummm... I Ummm... I'm just following, maybe?"


It made me flinch. This sound comes to mind. A mature voice could be heard coming from behind. Before Myra opened the garage door with the key alarm, we were stopped in our tracks directly in front of it. Hirowa, the girl who owns this apartment, appeared.

Hirowa: "How is the progression? Did you manage to at least find a job?"

Yugo: "A- Eeemmm... That's umm..."

Myra: "He currently killing a monster in the dungeon, Hirowa-san."

Hirowa: "Hm?~ Myra... How do you know that?"

Myra: "Of course, I know that. We were married after all..."

I don't know about that reason but, thank you, Myra...

Hirowa: "I see... Then good to hear it. Ah, just a quick question. When I was checking upstairs, the new resident seemed to break the door. Do you know what happened?"

Aria: "Ah... We were meet that girl before. She said that the door was broken."

Hirowa: "Broken? But I was sure it was working properly yesterday. That's weird... Or surely she just doesn't know how to use the door fingerprint properly."

Aria: "Ehehe... I don't know about that one."

Hirowa: "Well... That's all... Thank you though... Have a good day at the academy... Especially you, handsome."

Aria: "Tha-Thank you..."

Myra: "Thank you..."

Ayla: "..."

*Beep! *Myra starts to open the garage door. The garage then gradually opens.

Yugo: "U-Umm... Thanks, Hirowa..."

After I stated that, everyone flinched back. As soon as Hirowa heard it, she too stopped moving. I could hear the garage door opening and the silence before the garage finally opened completely and the noise stopped as it happened.

Yugo: "Eh? Is there something wrong?" *When I turned to look around, I noticed that everyone was frozen.

Aria: "U-Ummm..."

Hirowa: "It's nothing... Ah, to think of it. Maybe I should check the upstairs again about the door." *She grinned in response as she turned to face me. She finishes speaking and then turns to go.

Yugo: "Ye-Yes..."


Aria and Ayla: "Huufft..."

Yugo: "What?"

Myra: "You are still crazy as usual... She doesn't like someone calling her name like that you know." *Along with the other female, she went inside the garage room.

Yugo: "Eh?" *I'm still perplexed and am merely following the female behind me.

Myra: "You should call her Hirowa-san." *She opened the car door and got inside, taking the driver's position in the right front seat.

Aria: "Yugo, I already told you that before you know... Your apartment payment will be raising up all of a sudden if you call her like that..." *She enters the vehicle from the left side and opens the back door.

Raising up?? *I was taken aback by that.

Ayla: "Let's just hope she won't do that..."

As usual, I got inside the car from the back right side and sat in the middle. Ayla entered from the right side, sat down next to me, and then shut the door. As she shut the door, Aria joined me in the chair.

[Here the page breaks off for calculated crystals]
/*
A relaxed MgCr2O4 crystal, computed with PBE+U.

```
MgCr2O4
1.0
2.207 1.911 -0.668
-0.265 -1.064 2.787
6.217 -8.017 -2.406
Mg Cr O
1 2 4
direct
0.006 0.992 0.752
0.999 0.998 0.491
0.999 0.999 0.012
0.667 0.334 0.409
0.665 0.330 0.094
0.334 0.660 0.625
0.337 0.665 0.879
```

Calculated values
space-group type: P1
spin magnetization: 6.0 μB/f.u.
uncorrected energy: -49.73 eV/cell
ΔH_f (0 K): -2.25 eV/atom

* * * * *

# 1
This record from the Materials Project database describes a geometry-optimized K2AgAsF6 structure. The functional is PBE.

Calculated values
VASP energy: -4.255 eV/atom

```
data_K2AgAsF6
_chemical_formula_sum 'K8 Ag4 As4 F24'
_symmetry_space_group_name_H-M 'F m -3 m'
_symmetry_Int_Tables_number 225
_symmetry_space_group_name_Hall '-F 4 2 3'
_cell_length_a 8.953
_cell_length_b 8.953
_cell_length_c 8.953
_cell_angle_alpha 90.00
_cell_angle_beta 90.00
_cell_angle_gamma 90.00
loop_
_atom_site_label
_atom_site_fract_x
_atom_site_fract_y
_atom_site_fract_z
K1 0.250 0.250 0.250
Ag1 0.000 0.000 0.000
As1 0.000 0.000 0.500
F1 0.000 0.000 0.270
```



# 2
This record from the Materials Project database describes a geometry-optimized K2SbPO6 structure. The functional is PBE.

Calculated values
VASP energy: -6.135 eV/atom

```
data_K2SbPO6
_chemical_formula_sum 'K8 Sb4 P4 O24'
_symmetry_space_group_name_H-M 'P n m a'
_symmetry_Int_Tables_number 62
_symmetry_space_group_name_Hall '-P 2ac 2n'
_cell_length_a 9.577
_cell_length_b 5.986
_cell_length_c 11.254
_cell_angle_alpha 90.00
_cell_angle_beta 90.00
_cell_angle_gamma 90.00
loop_
_atom_site_label
_atom_site_fract_x
_atom_site_fract_y
_atom_site_fract_z
K1 0.118 0.250 0.160
K2 0.170 0.250 0.808
Sb1 0.000 0.000 0.500
P1 0.197 0.750 0.991
O1 0.000 0.250 0.382
O2 0.034 0.750 0.383
O3 0.070 0.750 0.072
O4 0.170 0.750 0.858
O5 0.211 0.035 0.527
```



# 3
This record from the Materials Project database describes a geometry-optimized Mg9Si5 structure. The functional is PBE.

Calculated values
VASP energy: -2.970 eV/atom
distance to the lowest polymorph of the same formula: 105 meV/atom

```
data_Mg9Si5
_chemical_formula_sum 'Mg18 Si10'
_symmetry_space_group_name_H-M 'P 1'
_symmetry_Int_Tables_number 1
_symmetry_space_group_name_Hall 'P 1'
_cell_length_a 7.176
_cell_length_b 7.271
_cell_length_c 12.809
_cell_angle_alpha 90.49
_cell_angle_beta 105.27
_cell_angle_gamma 119.03
loop_
_atom_site_label
_atom_site_fract_x
_atom_site_fract_y
_atom_site_fract_z
Mg1 0.000 0.000 0.000
Mg2 0.003 0.414 0.035
Mg3 0.004 0.211 0.515
Mg4 0.196 0.046 0.358
Mg5 0.202 0.327 0.846
Mg6 0.243 0.716 0.515
Mg7 0.344 0.363 0.194
Mg8 0.364 0.127 0.676
Mg9 0.487 0.838 0.844
Mg10 0.504 0.827 0.350
Mg11 0.513 0.477 0.508
Mg12 0.520 0.210 0.993
Mg13 0.600 0.641 0.051
Mg14 0.720 0.330 0.344
Mg15 0.739 0.573 0.849
Mg16 0.756 0.916 0.674
Mg17 0.782 0.063 0.180
Mg18 0.956 0.519 0.676
Si1 0.017 0.651 0.211
Si2 0.125 0.904 0.821
Si3 0.136 0.420 0.338
Si4 0.278 0.791 0.999
Si5 0.350 0.986 0.177
Si6 0.362 0.519 0.680
*/

Myra: "Aria... Are you really going to leave your car in here?"

Aria: "Eh? Didn't we want to go to the center point again?"

Myra: "Hmmm..." *She looked in my direction.

Yugo: "Ah... I'm just following."

Myra: "We will be going there. Probably every day for this week." *She turned the car on and then turned her head back to the front. driving the vehicle from the garage.

Aria: "Yay..." *She was pleased with it.

Yugo: "Eh? Every day?"

Myra: "Yes... There's no way she did not raise your apartment price after that."

For real?

Yugo: "How-How much she will be raising up my room?"

Myra: "Probably three times."

Three times??? multiplied by 3 will be 300???

Aria: "Not yay..." *She looked changed.

Ayla: "But Ayla thinks she would not be doing it..."

Myra: "No, Ayla. She will do that. I know her."

She comes to a stop in front of the garage, opens the windows on the right front door, and uses the key alarm to close the garage. After then, she shut the window and turned to the left and right to see whether there was any oncoming traffic. She then turns the car to the right and travels a considerable distance from the apartment.

Hirowa was inside my room on the opposite side, and the door was already locked. She entered my room while standing at the entrance.
